





[1] Sir W.Lawson and F.C.Gould, Cartons in Rhyme and Line. London:T.Fisher Unwin,1905,p.62.

[2] “Letter from the Bishop,” North China and Shantung Mission Quarterly Paper:Land of Sinim ,Vol.6,No.2,21 April,1898,p.26.

[3] Alice Blanche Balfour diary,30 Apr.1898,Whittinghame Muniment Mss,National Archives of Scotland,GD 433/2/224,cf.T.G.Otte,“‘Wee-ah-wee’?:Britain at WeihaiWei,1898-1930,” in G.Kennedy,ed., British Naval Strategy East of Suez,1900-2000:Influences and Actions, p.4.

[4] Satow letters 6/10,James Bruce to Satow,2 March 1900.cf.I.H.Nish:“The Royal Navy and The Taking of WeihaiWei,1898-1905,” Mariner's Mirror ,54(1968),p.47.

[5] MILES,“Wei-Hai-Wei,” The Times, 5 Apr.1898,p.14.

[6] MILES,“Wei-Hai-Wei,” The Times, 13 Apr.1898,p.6.

[7] MILES,“The China Blue-Book,” The Times, 20 Mar.1899,p.4.

[8] “Political Notes,” The Times ,5 Apr.1898,p.12.

[9] I.H.Nish,“The Royal Navy and The Taking of WeihaiWei,1898-1905,” Mariner's Mirror ,54(1968),pp.39-54.

[10] F.O.China 1358,Admiralty-Foreign Office,2 April,cf.I.H.Nish,“The Royal Navy and The Taking of WeihaiWei,1898-1905,” Mariner's Mirror, 54(1968),p.47.

[11] E.H.Seymour, My Naval Career and Travels. London:E.P.Dutton,1911,pp.324,365。注:菲茨杰拉德和西摩尔是最早到达威海卫的英国海军高级将领,英人以两人的姓名分别命名威海卫境内的两条重要山脉。

[12] Parliamentary Debates,4th series,Vol.56 (1898) .London:Economic Printing and Publishing Co.Ltd.,pp.1559-1579,1582-1584.

[13] NAVALIS,“Wei-Hai-Wei,” The Times ,20 June 1898,p.9.

[14] “The Future of Wei-Hai-Wei,” The Times ,29 Nov.1898,p.6.

[15] R.S.Yorke,“Wei-Hai-Wei,Our Latest Leasehold Possession,” Fortnightly Review ,64 (1898),pp.36-43.

[16] MILES,“England And Russia In China,” The Times ,26 Aug.1898,p.9.

[17] “Election Intelligence,” The Times, 16 Sep.1898,p.5.

[18] T.G.Otte, The China Question:Great Power Rivalry and British Isolation,1894-1905 ,p.130.

[19] Salisbury to Chamberlain (private),30 Dec.1897,Chamberlain Mss.,cf.T.G.Otte,“‘Wee-ah-wee’?:Britain at WeihaiWei,1898-1930,” in G.Kennedy,ed., British Naval Strategy East of Suez,1900-2000:Influences and Actions, pp.4-34.

[20] Tel.Sir C.MacDonald to the Marquess of Salisbury (separate and secret),25 Feb.1898, China.No.1 (1898).Correspondence respecting the affairs of China ,p.41.

[21] I.H.Nish,“The Royal Navy and The Taking of WeihaiWei,1898-1905,” Mariner's Mirror ,54(1968),pp.47-48.

[22] Note Lascelles to Bülow,20 Apr.1898,G.P.Gooch and H.W.V.Temperley,eds., British Documents on the Origins of the War,1898-1914 ,vol.1,p.33.

[23] T.G.Otte, The China Question:Great Power Rivalry and British Isolation,1894-1905 ,pp.129-130.

[24] T.G.Otte, The China Question:Great Power Rivalry and British Isolation,1894-1905 ,p.131.

[25] “It is perhaps unnecessary to inquire too,” The Times ,9 Apr.1898,p.7.

[26] “The Far East,” The Times ,11 Apr.1898,p.4.

[27] “The Far East,” The Times ,11 Apr.1898,p.4.

Unrelated to this piece: data records:
[1]
ORCA calculation (ωB97M-V/def2-TZVPD) on a cluster of 11 separate species, C30H60O32S7 in total in a non-equilibrium geometry.

The geometry in XYZ format:
```
129
Properties=species:S:1:pos:R:3
O -1.63 -0.67 0.66
S -0.21 -0.45 0.83
O 0.63 -1.57 1.16
O 0.32 0.37 -0.48
C -0.06 1.72 -0.29
C -0.15 2.04 1.22
O 0.15 0.77 1.78
H 0.64 2.38 -0.80
H -0.98 1.87 -0.87
H -1.06 2.51 1.57
H 0.58 2.80 1.50
O -0.29 2.99 -3.13
S -0.08 2.95 -4.54
O -1.17 2.87 -5.44
O 0.97 4.13 -5.03
C 2.32 3.73 -5.03
C 2.30 2.30 -4.45
O 1.04 1.89 -4.97
H 2.71 3.81 -6.05
H 2.89 4.47 -4.46
H 2.33 2.41 -3.36
H 3.05 1.59 -4.78
O 2.85 5.93 -1.34
S 3.08 4.69 -0.69
O 2.03 4.08 0.07
O 3.72 3.58 -1.72
C 5.15 3.57 -1.74
C 5.55 4.77 -0.88
O 4.51 4.78 0.11
H 5.45 2.60 -1.35
H 5.41 3.63 -2.80
H 5.52 5.69 -1.46
H 6.49 4.72 -0.33
O 0.97 5.13 5.18
S 1.40 4.79 3.84
O 0.40 4.72 2.82
O 2.65 5.74 3.44
C 3.90 5.12 3.60
C 3.59 3.83 4.36
O 2.34 3.49 3.81
H 4.32 4.87 2.62
H 4.63 5.80 4.05
H 3.47 4.07 5.42
H 4.36 3.06 4.29
O -5.26 -5.22 1.91
S -5.75 -3.92 2.26
O -7.16 -3.72 2.14
O -5.20 -3.43 3.74
C -4.68 -2.08 3.73
C -3.99 -2.09 2.42
O -4.94 -2.68 1.53
H -5.60 -1.51 3.84
H -4.01 -2.06 4.59
H -3.12 -2.76 2.41
H -3.53 -1.16 2.09
O -2.05 -4.50 4.10
S -0.78 -4.74 4.76
O -0.76 -5.56 5.92
O 0.36 -5.26 3.70
C 1.32 -4.25 3.39
C 0.75 -2.95 3.87
O -0.07 -3.31 4.98
H 2.21 -4.53 3.97
H 1.45 -4.36 2.31
H 0.11 -2.49 3.11
H 1.45 -2.16 4.14
O -1.57 0.04 -6.53
S -1.43 -1.00 -5.58
O -0.56 -2.11 -5.84
O -1.04 -0.40 -4.12
C -2.21 0.09 -3.48
C -3.18 -1.09 -3.74
O -2.93 -1.41 -5.12
H -1.99 0.25 -2.43
H -2.49 1.01 -4.01
H -4.24 -0.88 -3.56
H -3.02 -1.90 -3.03
C 3.61 1.04 1.55
C 4.99 0.71 2.17
C 5.85 0.63 0.93
O 5.02 0.04 -0.07
C 3.66 0.05 0.37
H 3.54 2.11 1.34
H 2.83 0.83 2.29
H 4.81 -0.22 2.71
H 5.30 1.49 2.87
H 6.77 0.09 1.16
H 6.13 1.65 0.64
H 3.30 -0.93 0.66
H 3.08 0.47 -0.46
C 1.09 -3.63 -1.71
C 0.53 -2.35 -2.27
C 1.76 -1.62 -2.68
O 2.67 -2.67 -3.01
C 2.05 -3.97 -2.83
H 0.29 -4.36 -1.58
H 1.70 -3.53 -0.81
H -0.26 -1.83 -1.71
H -0.07 -2.54 -3.17
H 2.05 -1.02 -1.81
H 1.56 -0.97 -3.53
H 2.79 -4.75 -2.65
H 1.58 -4.27 -3.78
C -2.34 -3.85 -0.31
C -2.79 -4.52 -1.59
C -3.52 -5.76 -1.17
O -2.78 -6.23 -0.05
C -2.18 -5.10 0.57
H -3.15 -3.16 -0.07
H -1.50 -3.17 -0.17
H -1.95 -4.79 -2.25
H -3.37 -3.88 -2.27
H -3.55 -6.41 -2.05
H -4.56 -5.68 -0.81
H -1.11 -5.31 0.65
H -2.63 -4.90 1.55
C -4.68 3.34 0.41
C -5.11 2.09 -0.29
C -4.93 1.02 0.84
O -4.46 1.72 2.00
C -4.75 3.11 1.90
H -5.22 4.23 0.07
H -3.67 3.66 0.12
H -4.50 1.96 -1.18
H -6.14 2.01 -0.64
H -4.27 0.21 0.54
H -5.85 0.49 1.10
H -4.06 3.79 2.39
H -5.77 3.19 2.29
```

Output
energy relative to the best compared isomer or geometry (same formula, charge and spin)	214.3	kJ/mol
LUMO level	-0.3	eV

=====

[2]
ORCA calculation (ωB97M-V/def2-TZVPD) on a cluster of 3 separate species, C30H61ClFN3O13P in total in a non-equilibrium geometry.

The geometry in XYZ format:
```
110
Properties=species:S:1:pos:R:3
C 4.77 -1.09 -1.57
C 3.88 -1.07 -2.80
O 3.12 0.13 -2.79
C 2.11 0.17 -3.78

[28] “The Powers and China,” The Times ,5 Apr.1898,p.7.

[29] “The Far East,” The Times ,30 Apr.1898,p.7.

[30] Satow to Salisbury,30 Dec.1897,Salisbury MSS,3M/A/126/34,cf.T.G.Otte, The China Question:Great Power Rivalry and British Isolation,1894-1905 ,p.100.

[31] “Index,” The Times ,7 Apr.1898,p.1.

[32] “The Far East,” The Times ,11 Apr.1898,p.4.

[33] “The Far East,” The Times ,2 May 1898,p.7. QE473L1dS8EnejUqDGymZu/OSb2G9OjuhMhogkHsVsq9wBiGMU8LJDrbAlEUkZL7
